Request:
Your job: print only the lines further below with the word "among" in them.
Given:
┌──
# Fe5O3F7 | the Materials Project database | PBE with a Hubbard U | optimized geometry
data_Fe5O3F7
_cell_length_a 15.844
_cell_length_b 4.777
_cell_length_c 4.793
_cell_angle_alpha 90.00
_cell_angle_beta 90.00
_cell_angle_gamma 90.00
_symmetry_space_group_name_H-M 'P m n 21'
_symmetry_Int_Tables_number 31
loop_
_symmetry_equiv_pos_as_xyz
'x,y,z'
'-x+1/2,-y,z+1/2'
'-x,y,z'
'x+1/2,-y,z+1/2'
loop_
_atom_site_label
_atom_site_type_symbol
_atom_site_fract_x
_atom_site_fract_y
_atom_site_fract_z
Fe1 Fe 0.000 0.243 0.000
Fe2 Fe 0.095 0.771 0.461
Fe3 Fe 0.208 0.216 0.006
O1 O 0.000 0.952 0.291
O2 O 0.200 0.944 0.299
F1 F 0.000 0.549 0.693
F2 F 0.108 0.053 0.794
F3 F 0.109 0.445 0.183
F4 F 0.202 0.548 0.698
# - energy of formation (eV per atom) = -2.2050
# - energy relative to the lowest polymorph listed for this composition (meV/atom) = 25
# - total DFT energy (no corrections) (eV per atom) = -5.806



# Fe2OF3 | the Materials Project database | PBE with a Hubbard U | optimized geometry
data_Fe2OF3
_cell_length_a 6.253
_cell_length_b 13.449
_cell_length_c 6.957
_cell_angle_alpha 90.00
_cell_angle_beta 90.00
_cell_angle_gamma 90.00
_symmetry_space_group_name_H-M 'C m m m'
_symmetry_Int_Tables_number 65
_symmetry_space_group_name_Hall '-C 2 2'
loop_
_atom_site_label
_atom_site_type_symbol
_atom_site_fract_x
_atom_site_fract_y
_atom_site_fract_z
Fe1 Fe 0.000 0.000 0.000
Fe2 Fe 0.000 0.246 0.500
Fe3 Fe 0.000 0.500 0.000
Fe4 Fe 0.227 0.000 0.500
Fe5 Fe 0.250 0.250 0.000
O1 O 0.000 0.096 0.500
O2 O 0.000 0.340 0.000
F1 F 0.000 0.149 0.000
F2 F 0.000 0.406 0.500
F3 F 0.249 0.000 0.209
F4 F 0.250 0.250 0.292
# - energy of formation (eV per atom) = -2.2666
# - energy relative to the lowest polymorph listed for this composition (meV/atom) = 55
# - total DFT energy (no corrections) (eV per atom) = -5.774



no.,total energy after the MP2020 corrections (eV per formula unit)
1,-103.67
2,-41.23

=====

[1]
A plane-wave DFT calculation with GGA-PBE was carried out for a geometry-optimized Mg14TiMn structure.

Structure (extended XYZ):
```
16
Lattice="10.1209 0.0000 0.0000 0.0000 3.1111 5.5132 0.0000 -3.1111 5.5132" Properties=species:S:1:pos:R:3 pbc="T T T"
Mg 0.0000 0.0000 0.0000
Mg 0.0000 -1.5562 2.7674
Mg 0.0000 0.0000 5.5113
Mg 0.0000 1.5562 2.7674
Mg 2.5571 0.0000 1.8034
Mg 2.6189 0.0000 7.3022
Mg 2.6359 -1.5545 4.6252
Mg 2.6359 1.5545 4.6252
Mg 5.0605 -1.5352 2.7708
Mg 5.0605 1.5352 2.7708
Mg 7.4850 -1.5545 4.6252
Mg 7.4850 1.5545 4.6252
Mg 7.5020 0.0000 7.3022
Mg 7.5638 0.0000 1.8034
Ti 5.0605 0.0000 0.0519
Mn 5.0605 0.0000 5.4872
```

The value obtained for the relative energy among the computed polymorphs is 0 meV per atom. As for the energy of formation: 87 meV per atom. Its spin magnetization is 2.6 μB/f.u. The space group is Amm2, No. 38.

=====

[2]
A plane-wave DFT calculation with GGA-PBE was carried out for a geometry-optimized Re2C3Cl3O6 structure.

Structure (extended XYZ):
```
56
Lattice="13.2840 0.0000 0.0000 0.0000 11.2320 0.0000 0.0000 0.0000 7.5166" Properties=species:S:1:pos:R:3 pbc="T T T"
Re 2.4818 2.3633 0.0000
Re 3.2683 9.6273 5.0315
Re 3.3737 4.0113 1.2732
Re 4.1602 7.9793 3.7583
Re 9.1238 3.2527 0.0000
Re 9.9103 7.2207 5.0315
Re 10.0158 1.6047 1.2732
Re 10.8022 8.8687 3.7583
C 1.5582 2.3531 2.7224
C 1.7551 7.1594 5.1511
C 2.2604 9.5769 2.3406
C 4.3816 3.9609 6.0989
C 4.8869 1.5434 1.3928
C 5.0838 7.9691 6.4807
C 8.2002 3.2629 2.7224
C 8.3971 9.6886 5.1511
C 8.9024 7.2711 2.3406
C 11.0236 1.6551 6.0989
C 11.5289 4.0726 1.3928
C 11.7258 8.8789 6.4807
Cl 0.6717 3.3667 6.5922
Cl 1.6876 0.0445 6.4027
Cl 1.8980 5.6925 0.9510
Cl 4.7440 0.0765 4.7093
Cl 4.9544 5.6605 2.6445
Cl 5.9703 8.9827 2.8339
Cl 7.3137 2.2493 6.5922
Cl 8.3296 5.5715 6.4027
Cl 8.5400 11.1555 0.9510
Cl 11.3860 5.5395 4.7093
Cl 11.5964 11.1875 2.6445
Cl 12.6123 7.8653 2.8339
O 1.4153 1.6877 1.6767
O 1.7050 8.3140 5.6398
O 2.0794 10.2163 3.3959
O 2.3316 3.3179 2.9381
O 2.6012 6.6715 4.3603
O 2.9660 8.5636 2.1430
O 3.6760 2.9476 5.9013
O 4.0409 1.0555 0.6020
└──
Done:
The value obtained for the relative energy among the computed polymorphs is 0 meV per atom. As for the energy of formation: 87 meV per atom. Its spin magnetization is 2.6 μB/f.u. The space group is Amm2, No. 38.